China: What Li did and didn’t say at the NPC – Asia Times

Investors already seem unimpressed by China’s pledge to grow around 5% this year. It’s not because of what Premier Li Qiang said about Asia’s biggest economy but rather what his National People’s Congress report failed to address.

Along with Beijing holding its fire on massive new stimulus, the report lacked new strategies to fix a property crisis exacerbating deflation. Nor did it detail fresh moves to strengthen China’s capital markets to stabilize sliding stocks.

Li’s report did contain many goodies that might normally send mainland stocks skyward. The gross domestic product (GDP) target is certainly ambitious given Japan is in recession, Europe is heading that way and US Federal Reserve rate cuts are off the table for now.

Plans to champion “high-quality development” augur well for increased innovation, research and development, green energy, cutting-edge manufacturing and, ultimately, higher disposable incomes across the nation.

Investors may be cheered by talk of generating 3% consumer price inflation, holding the fiscal deficit to 3%, creating 12 million urban jobs and increasing tech self-sufficiency as Washington tightens the screws. There’s hope, too, that the plan to issue one trillion yuan (US$139 billion) of ultra-long special central government bonds will boost consumption.

The work report that Li unveiled stressed that to be “well prepared for all risks and challenges,” the government is working to ensure that “internal drivers of development are being built up.”

As such, it said “we will implement a package of measures to defuse risks caused by existing debts and guard against risks arising from new debts.”

Beijing, it added, “will take prudent steps to defuse risks in small and medium financial institutions in some localities and take tough measures against illegal financial activities.”

Overall, Li “provided a largely positive review of the development” efforts, says Bert Hofman, a senior fellow at the National University of Singapore.

But little of note has been said so far about repairing the biggest cracks undermining the economy — and global investors’ confidence in it. These include a property crisis putting China in global headlines for all the wrong reasons and a $9 trillion mountain of local government financing vehicle (LGFVs) debt.

To economist Alicia Garcia-Herero at Natixis, the big takeaway is that the NPC “work report confirms the same growth target as last year, but without a plan.”

Of course, many investors would add to the list the steady reduction in transparency on President Xi Jinping’s watch. Though Li claimed Beijing will “vigorously promote” openness to information, Xi’s moves to tighten control over data, particularly among foreigners, aren’t helping.

Nor is China’s surprising decision to scrap the premier’s traditional press conference at the close of the NPC. It’s the first time that’s happened since 1993.

“China seems to be heading towards close-door policies with more opaqueness on economic policies,” says analyst Kelvin Wong, who publishes the Lighthouse Chronicle newsletter.

As such, he detects a “lack of any clear catalyst to kickstart a major bullish impulsive trend structure for China and Hong Kong benchmark stock indices.”

Without increased visibility on Beijing’s policy, Wong says, “China stock market and capital markets are likely to be shunned by international players,” except for those within the Belt and Road circle of nations.

Ruihan Huang, senior researcher at the Paulson Institute think tank, argues the NPC’s work report contained “good news for foreign investment.”

“Beijing will fully abolish restrictive measures on foreign investment access in the manufacturing sector and liberalize market access in services such as telecommunications and medical care.”

On the other hand, Huang adds, it’s noteworthy that amidst the persistently sluggish real estate market, Li omitted the phrase “houses are for living, not for speculation” this year. In 2023, then-premier Li Keqiang featured that phrase prominently.

China’s ambition, expressed by China’s 5% growth target, might indeed raise concerns that Team Xi might resort to putting short-term growth ahead of long-term reforms to avoid future boom-bust cycles.

Chinese Premier Li Qiang and President Xi Jinping in March 2023. Photo: Xinhua

Lynn Song, greater China chief economist at ING Bank, notes that with “pervasively downbeat sentiment and property market weakness remaining an overhang, reaching 5% growth this year may be more difficult.” As such, her team expects to see “a moderate level of policy support.”

Yet moving China beyond those up-down GDP cycles requires reading the cracks underneath the economy. And with action, not slogans.

It’s grand that Xi and Li favor “higher productivity” and “high quality” growth. It’s another thing to do the heavy lifting to achieve it, China watchers say.

By her reading, Garcia-Herero at Natixis says Tuesday’s proceedings offered “no stimulus — the fiscal deficit even lower — no liberalization, nothing.”

On Tuesday, Li acknowledged that China’s economic performance faces “difficulties” that have “yet to be resolved.” Li even detailed where the cracks lie, saying that “risks and potential dangers in real estate, local government debt, and small and medium financial institutions were acute in some areas. Under these circumstances, we faced considerably more dilemmas in making policy decisions and doing our work.”

One problem, of course, is a lack of trust in China’s economy at a moment when Xi’s party is muddying foreign investors’ ability to discern the true fundamentals of the economy. Already, for example, there are doubts among analysts that China really grew at the 5.2% rate Beijing claims in 2023.

“A lot of economists think the numbers are completely fabricated. The idea of 5.2% or 5.5% growth is [very] likely wrong,” says Andrew Collier, managing director at research firm Orient Capital, told BBC. “It’s more like 1% or 2%.”

Though that may seem overly pessimistic, Collier speaks for many when he says “I think the next five or 10 years is going to be difficult.”

That’s in part due to an intensifying US-China trade war. In Washington, President Joe Biden’s White House continues to limit China Inc’s access to semiconductors and other vital technology – and US investors’ ability to invest in mainland tech firms.

On Tuesday, Beijing reaffirmed its overriding goal of becoming self-reliant in chipmaking and artificial intelligence in order to compete with the West.

# Misplaced crystal structures
-- begin --
No. 1
EuIn2Ni | r2SCAN | relaxed

Unit cell a=5.8006 b=5.8006 c=7.5989 alpha=90.00 beta=90.00 gamma=135.87
Fractional coordinates of all 8 atoms:
Eu  0.9427  0.0573  0.7500
Eu  0.0574  0.9426  0.2500
In  0.3456  0.6544  0.0530
In  0.6544  0.3456  0.5531
In  0.6544  0.3456  0.9469
In  0.3456  0.6544  0.4470
Ni  0.7809  0.2191  0.2500
Ni  0.2190  0.7810  0.7500

No. 2
EuIn2Pd | r2SCAN | relaxed

Unit cell a=5.7414 b=5.7414 c=7.8936 alpha=90.00 beta=90.00 gamma=133.13
Fractional coordinates of all 8 atoms:
In  0.3527  0.6473  0.0531
In  0.6473  0.3527  0.9468
In  0.6473  0.3527  0.5532
In  0.3527  0.6473  0.4468
Pd  0.7836  0.2164  0.2500
Pd  0.2165  0.7835  0.7500
Eu  0.0653  0.9347  0.2500
Eu  0.9346  0.0654  0.7500

No. 3
EuIn4Pd | r2SCAN | relaxed

Unit cell a=8.8505 b=8.8505 c=7.3915 alpha=90.00 beta=90.00 gamma=150.03
Fractional coordinates of all 12 atoms:
Pd  0.2237  0.7763  0.2500
Pd  0.7763  0.2237  0.7500
Eu  0.8769  0.1231  0.2500
Eu  0.1231  0.8769  0.7500
In  0.5000  0.5000  0.0000
In  0.3164  0.6836  0.5482
In  0.0678  0.9322  0.2500
In  0.3164  0.6836  0.9518
In  0.6836  0.3164  0.4518
In  0.9322  0.0678  0.7500
In  0.6836  0.3164  0.0482
In  0.5000  0.5000  0.5000

No. 4
EuInPt4 | r2SCAN | relaxed

Unit cell a=5.4098 b=5.4098 c=5.4098 alpha=60.00 beta=60.00 gamma=60.00
Fractional coordinates of all 6 atoms:
Pt  0.6245  0.1266  0.6245
Pt  0.6245  0.6245  0.6245
Pt  0.6245  0.6245  0.1266
Pt  0.1266  0.6245  0.6245
In  0.2500  0.2500  0.2500
Eu  0.0000  0.0000  0.0000

No. 5
EuIn2Rh | r2SCAN | relaxed

Unit cell a=5.6692 b=5.6692 c=8.0061 alpha=90.00 beta=90.00 gamma=134.27
Fractional coordinates of all 8 atoms:
In  0.6511  0.3489  0.5523
In  0.3489  0.6511  0.4477
In  0.3489  0.6511  0.0523
In  0.6511  0.3489  0.9477
Eu  0.9377  0.0623  0.7500
Eu  0.0623  0.9377  0.2500
Rh  0.2147  0.7853  0.7500
Rh  0.7853  0.2147  0.2500

No. 6
EuInRh | r2SCAN | relaxed

Unit cell a=4.3496 b=7.4042 c=8.4643 alpha=89.96 beta=90.00 gamma=90.00
Fractional coordinates of all 12 atoms:
In  0.7500  0.3549  0.4367
In  0.2500  0.6450  0.5631
In  0.7500  0.8551  0.0632
In  0.2500  0.1452  0.9370
Eu  0.7500  0.9702  0.6767
Eu  0.7500  0.4702  0.8222
Eu  0.2500  0.0297  0.3238
Eu  0.2500  0.5298  0.1773
Rh  0.2500  0.2731  0.6266
Rh  0.7500  0.7269  0.3734
Rh  0.7500  0.2269  0.1268
Rh  0.2500  0.7731  0.8734

No. 7
EuIn2Se4 | r2SCAN | relaxed

Unit cell a=6.4182 b=6.4182 c=11.0062 alpha=90.00 beta=90.00 gamma=115.91
Fractional coordinates of all 14 atoms:
Se  0.5000  0.0000  0.1808
Se  0.5000  0.0000  0.8192
Se  0.6467  0.7886  0.5000
Se  0.0000  0.5000  0.6808
Se  0.7886  0.6467  0.0000
Se  0.2114  0.3533  0.0000
Se  0.0000  0.5000  0.3192
Se  0.3533  0.2114  0.5000
In  0.7774  0.2291  0.5000
In  0.7709  0.2226  0.0000
In  0.2226  0.7709  0.5000
In  0.2291  0.7774  0.0000
Eu  0.5000  0.5000  0.7500
Eu  0.5000  0.5000  0.2500

No. 8
SrEuIn2 | r2SCAN | relaxed

Unit cell a=5.6637 b=5.6637 c=5.6637 alpha=60.00 beta=60.00 gamma=60.00
-- stop --

The central government is boosting spending on technology and scientific research by 10% to nearly US$52 billion this year. Along with promoting national champions, the plan involves giving key enterprises a pivotal role in driving the policy.

“We will fully leverage the strengths of the new system for mobilizing resources nationwide to raise China’s capacity for innovation across the board,” Li’s report as delivered to lawmakers said.

“We will pool our country’s strategic scientific and technological strength and non-governmental innovation resources to make breakthroughs in core technologies in key fields and step up research on disruptive and frontier technologies.”

Yet underneath these worthy goals is a financial system still misallocating capital, damaging confidence among foreign investors and undermining domestic business and household confidence.

In February alone, the value of new home sales plunged 60% from a year earlier. That followed a more than 34% drop in the previous month.

China’s property market is a growing drag on the economy. Image: Screengrab / CNBC

Because real estate is the main asset in which Chinese invest, plunging property values are undermining consumption at a moment when Xi and Li hope to boost domestic demand.

As such, Beijing must detail plans to accelerate steps to repair the housing sector and to get bad assets off property developers’ balance sheets.

It’s vital, too, that Xi and Li find ways to reassure global asset managers that the roughly $7 trillion stock rout between 2021 and last month won’t continue. Beijing’s deployment of the “national team” of state funds to buy shares won’t renew confidence in the long run. That, analysts say, requires bold policy changes.

That’s why, for now, economists at HSBC think “recent market turmoil may prompt more decisive and quick moves by the national team to help restore confidence and prevent a self-fulfilling cycle.”

Yet decisive and quick moves seemed in short supply Tuesday. The same goes for altering the narrative on deflation.

“Once the expectation for further deflation is formed, consumers and investors will cut back on their spending,” says Gene Ma, head of China research at the Institute of International Economics. “Deflation will reduce the nominal GDP and thus raise the debt/GDP ratio and exacerbate the debt overhang.”

Ma argues that “the falling asset prices and negative wealth effect are hurting investment and consumption. The falling asset value relative to liability may force businesses and households to repay their debts to deleverage, making monetary easing like pushing on a string. Moreover, deflation causes weaker corporate earnings, rising defaults, and deteriorating bank asset quality, which in turn could lead to credit contraction.”

The People’s Bank of China has responded with cuts to required reserve rates and official interest rates. However, Ma says, “the producer price inflation-adjusted real lending rates remained elevated at 6.6% in the fourth quarter. We think a lot more forceful policy measures are needed to prevent deflation from doing more damage. The PBOC should explicitly anchor the inflation expectations by introducing an inflation target of 2% to 3%.”

So far in 2024, the PBOC has been reluctant to ease assertively. One reason is Xi’s determination to keep the yuan from falling. That, Xi’s inner circle apparently worries, would squander progress made in building global trust in the yuan and anger Washington head of a contentious election.

Another is fear of incentivizing bad lending and borrowing behavior. The liquidity bursts that are flowing from the PBOC have been enough to tame bond market dynamics but not stabilize Shanghai stocks.

Part of the rationale seems to be that China can do the bare minimum to stabilize stocks and keep GDP as close to 5% as possible. The restrained nature of policy moves, though, appears positive for bond markets and negative for stocks.

Hence the benchmark’s sharp swings up and down on Tuesday. The Hang Seng China Enterprises Index dipped as much as 2.6%, the most in more than a month.

The good news: Xi and Li still have another week of NPC festivities to lay out a clear and coherent plan to repair a cratering property market and restore trust in the stock market. All global markets can do is hope that they use it.

Follow William Pesek on X, formerly Twitter, at @WilliamPesek